Read The P.H.O.T.O. (VOL 2) The Saga Continues Page 19

  Little ‘S’ stood speechless, looking at Tinker and Spook. “Spook’s right... Tinker this is your transportation to Pac Toul. Pop, this is scary – based upon Ezekiel’s vision and verified by Tinker these ‘silver men' must have been coming to Earth for thousands of years!”

  “Your right if that’s true then the failure to return the man and woman ‘prisoners’ might indicate they obtained themselves another Adam and Eve!

  I’ll be the first to admit I’m stumped – ‘the men in white’ must have had something to do with the pyramids in Egypt why else the oval patch with the three pyramids? The other emblems on the ‘craft’ were not a face, a lion, a cow, and a bird. We can see from Ezekiel they are descriptions of a man, a lion, a bull and an eagle. I don’t know the meaning of all this but we’ll figure it out someday.



  They had been in the motel for a couple of weeks after the discovery of the ‘mystery’ in the Bible. Cabin fever was beginning to set in. Since the shooting and the discovery of the blue beret nothing unusual had occurred except their nerves were beginning to fray. Something had to happen, and quick – where were those damn Kim brothers?

  Without warning late one sunny morning there was a knock at the door – Sarge cautiously went to open it – no one was there. Lying on the concrete next to the door was a brown envelope. Sarge picked it up and removed the contents; it had an instruction sheet and a couple thousand dollars of American money.

  They were instructed to move from the grand ‘Boudreaux’ to a house across Lake Pontchartrain close to Highway 59 in the city of Slidell, Louisiana. A car would pick them up at 0600 tomorrow morning and carry them to Slidell and their new digs. They were to stay there until contacted again.

  * * * * *

  In Slidell Spook and Tinker were to assume identities as husband and wife. Big “S” and Little “S” were friends awaiting construction job openings in New Orleans. Money was to be delivered weekly and they were provided with a vehicle – driver’s licenses and identification papers were in the glove box for all of them. The car was parked in the garage of their new hideout. After the encounter in the alley in New Orleans, this house was considered more secure.

  They were to live in the middle class neighborhood until further orders were received from the idiot Kim brothers; although, their reputations were beginning to improve with Sarge. He had quit calling them ‘idiots’, especially if Spook was around.

  Sarge, Little ‘S’ and Spook did not like that word ‘live’ it indicated to them a period considered to be ‘long’ not ‘short’. ‘What could the two Kim brothers be up to?’ Thought Big ‘S’. Notice he did not even ‘think’ the word ‘idiot’.

  * * * * *

  They had been at their ‘new’ home a few weeks when suddenly and without warning a ‘visitor’ arrived. He pulled into the driveway, opened the car door and stepped upon the porch and hastily rang the doorbell. Sarge opened the door, gun in hand, and let him inside. He never introduced himself – he got right to the point – he would return in exactly one week and he wanted a complete list of all the equipment that the team would need as he put it “in their re-construction of the project”. Include everything - nuts, bolts, wire, electronic gear, any and all items that they needed, or possible thought might be needed. “Do not worry about the cost,” he said. “Cost is no object. If there is a remote chance that an item possibly could be used, put it on the list. Remember,” he said, “I’ll be back at 12 noon one week from today. Today is Monday, you have until next Monday to get your list prepared.” With this piece of cryptic advice he left as mysteriously as he had arrived.

  They did not know what to make of the stranger but obviously the Kim brothers sent him. By the sound of everything the rebuilding of the ‘project’ was to begin.

  Each wondered as they talked to each other – what to put on the list; do we understand the alien documents sufficiently to make a list of re-constructive parts; what type of assistance will we have; and most of all where is all this to take place?

  All these questions would eventually resolve themselves and one week later the list, which had taken on the characteristics of a book, was completed and delivered by another messenger to the Kim brothers who…




  The tell-tell creaking of the floor upstairs should have alerted Forrest that someone had crossed those boards and, at this very moment, was silently stepping slowly down the stairs to the door leading into the basement – the door handle turned and with a gentle push open it swung.

  The light from the gunroom spilled out into the dark basement and illuminated the figure crossing the room.

  Inside the gunroom Forrest still sat, hypnotized, in the middle of the floor in front of the safe, its doors standing wide open! Papers, folders, medals and certificates lay scattered all over the floor in a jumbled mess.

  The intruder at the door softly spoke the word “FORREST!” If he heard his name uttered he gave no indication – he was too engrossed in the Kim brother's CIA documents. Forrest, still entranced by the phenomenon, which still had him, as mesmerized as it was when he first started examining those documents, did not allow his mind to comprehend his summons.

  He mind’s eye kept him engrossed in the dream but not dreaming; the places where he witnessed this saga still lingered in his vision, but the participants couldn’t be touched, he still wanted to speak to them but couldn’t. The events unfurled as though the events of the past had been a movie he had been watching of his great-grandfather Grandpa Scarburg and his Grandfather Pa Scarburg. The names, description of events and places were real to him, not just random events depicted on those scraps of paper, what Forrest witnessed he thought was real to him!

  It WAS real!

  * * * * *

  Forrest trying hard to keep his mind focused could not hold onto the images that were beginning to fade – “No! I’m not through!” he said speaking out loud. Startled to reality by the sound of his own voice he realized someone just called his name.

  “Who called me?”

  The voice – it is familiar – it is part of the movie that he is watching! ‘Am I in this movie?’ he thought. “Who is calling me?”

  “Forrest wake up!” the voice urged. The images faded faster… faster and finally disappeared all together, but standing close by he could sense the presence of one of the voices in the ‘movie’!

  “FORREST!” The voice said a little louder….

  “FORREST!” The voice said slapping his hands together, “WAKE UP!”

  * * * * *

  “Who’s talking? Where am I?” Forrest turned his head and there standing in the door to the gunroom was his grandfather – Pa - Little ‘S’ - Robert Edward Scarburg, Jr.

  “What just happened Pa? Tell me, this is scary… what’s been going on?”

  “Forrest, come on, leave everything alone and come upstairs. The sun’s up, you’ve made a whole night of this thing. Hustle up, I’ll fix some breakfast and we’ll talk.”

  Sitting around the breakfast table Forrest had a million questions, so he started with, “How did you know I had entered the gunroom Pa?”

  “Easy, silent alarm first time you went in.”

  “You mean when I sneaked down there you had me pegged from the beginning? Why didn’t you stop me?” Forrest asked.

  “Well, I figured you are old enough now to know the whole story. What you were seeing and experiencing last night HAPPENED! I know I was there too and saw it all personally. It was real. The P.H.O.T.O. was real and you were there to see it. I understand what you witnessed seemed scary and troublesome. I identify with your feeling of awe and amazement very well. Your one night adventure has been a constant companion of mine for over 40 years.

  * * * * *

  Your episode last night felt like a dream, didn’t it Forrest? We know your body gave you all
the indications of a dream but your mind actually experienced the events in real time as they occurred. We discovered from the ‘silver men’ how to perform your little reality shift many years ago using information gleaned from their documents. Remember the beautiful clock you found in the safe – the strange large gold six-sided one?”

  “Oh yeah Pa when I found it I almost died, man it was bad!”

== Inserted here: materials data ==
'''
(1)
Structure and theoretical powder X-ray diffraction pattern of La7HoTm3 (DFT lattice parameters and positions (PBE); Cu Ka).

Most intense lines, 2θ from 10° to 90°, low angle first:
| hkl | 2θ/deg | intensity |
| --- | --- | --- |
| 1 -3 2 | 27.4 | 58 |
| 1 -3 0 | 29.0 | 50 |
| 2 -1 2 | 29.5 | 56 |
| 0 0 4 | 30.1 | 100 |
| 0 3 0 | 31.4 | 76 |
| 2 1 -2 | 32.5 | 100 |
| -2 2 2 | 33.3 | 95 |
| 0 3 -4 | 33.7 | 48 |
| 2 1 -6 | 49.6 | 43 |
| 2 0 6 | 58.1 | 33 |

a b c (Å): 7.044 9.978 12.962
angles (deg): 112.03 90.05 110.64
Positions (direct):
La 0.066 0.167 0.476
La 0.069 0.154 0.967
La 0.129 0.500 0.750
La 0.337 0.246 0.230
La 0.399 0.834 0.025
La 0.410 0.247 0.730
La 0.415 0.846 0.533
La 0.585 0.154 0.467
La 0.590 0.753 0.270
La 0.601 0.166 0.975
La 0.663 0.754 0.770
La 0.871 0.500 0.250
La 0.931 0.846 0.033
La 0.934 0.833 0.524
Ho 0.000 0.500 0.000
Ho 0.000 0.500 0.500
Tm 0.164 0.867 0.270
Tm 0.201 0.867 0.770
Tm 0.500 0.500 0.000
Tm 0.500 0.500 0.500
Tm 0.799 0.133 0.230
Tm 0.836 0.133 0.730

(2)
Structure and theoretical powder X-ray diffraction pattern of AcTbNd2Se4 (DFT lattice parameters and positions (PBE); Cu Ka).

Most intense lines, 2θ from 10° to 90°, low angle first:
| hkl | 2θ/deg | intensity |
| --- | --- | --- |
| 1 1 -1 | 25.9 | 12 |
| 1 1 1 | 29.6 | 100 |
| 2 0 2 | 41.8 | 13 |
| 1 1 -3 | 42.0 | 26 |
| 3 1 -1 | 42.9 | 25 |
| 0 2 0 | 43.1 | 12 |
| 2 2 -2 | 53.2 | 13 |
| 2 2 2 | 61.6 | 12 |
| 0 2 4 | 69.1 | 11 |
| 4 2 0 | 70.4 | 11 |

a b c (Å): 7.322 4.197 7.524
angles (deg): 90.00 108.70 90.00
Positions (direct):
Ac 0.000 0.000 0.000
Tb 0.000 0.500 0.500
Nd 0.500 0.000 0.500
Nd 0.500 0.500 0.000
Se 0.245 0.000 0.736
Se 0.255 0.500 0.265
Se 0.745 0.500 0.735
Se 0.755 0.000 0.264


Theoretical X-ray powder pattern
Compound: YEr2MoO8
Radiation: Cu Kα, 1.54184 Å
Structure: the GGA+U geometry in Alexandria
Peak positions follow from Bragg's law for the DFT cell and can differ from measured ones.

Peak list (6 most intense, 2θ = 10–90°, by angle)
- 2θ = 24.92°, I 61
- 2θ = 25.21°, I 57
- 2θ = 31.86°, I 100
- 2θ = 35.74°, I 28
- 2θ = 48.46°, I 41
- 2θ = 48.79°, I 39

Crystal structure
```
YEr2MoO8
1.0
3.533 -3.573 0.000
3.533 3.573 0.000
0.000 0.000 6.774
Y Er Mo O
1 2 1 8
direct
0.000 0.000 0.000
0.500 0.500 0.251
0.500 0.500 0.749
0.000 0.000 0.500
0.185 0.815 0.288
0.185 0.815 0.712
0.277 0.277 0.500
0.309 0.309 0.000
0.691 0.691 0.000
0.723 0.723 0.500
0.815 0.185 0.288
0.815 0.185 0.712
```
'''
== End of the materials data ==

  “Bad? What do you mean bad?”

  “Oh! No not in bad... bad...yeah, it was…uh…”

  “Pa, you’ve got to believe me, I didn’t break it. It was all ready broken, I couldn’t get it to run right!”

  “Forrest don’t worry the ‘clock’ isn’t broken and you’re right, it is ‘bad’, we call it the ‘Mind Traveler’. Glad you didn’t drop it, it’s made entirely of gold, silver and platinum and worth a fortune in the metals alone.”

  “Awesome! What does it do?”

  “Forrest you experienced what it can do – it transported your mine back in time and allowed you to observe everything that Big ‘S’, Spook, Tinker and I did until you woke up six hours after the clock started humming.”

  “No, Pa, I know when I’m awake or dreaming, what I saw had to have been in a dream! But it sure did seem real now that you mention it?” If I wasn’t dreaming how did that ‘clock’ thing do that?”

  “PT we had a whole ‘clock’ team study the alien documents and blueprints and finally build that device. I didn’t work on the team that developed it, but it was figured out from the alien’s information that we brought back from Cambodia. About all I know about it is how to set the crazy thing. You set the machine into operation when you touched that red knob – you did push the red knob didn’t you?”

  Sheepishly, Forrest hung his head and nodded that he had.

  “No problem Forrest, I can have a plan too. I figured after your first visit to the safe you would go back. I went downstairs, opened the safe and set the time on the ‘Mind Traveler’ to 1350 (1:50 pm) hours on 15 August 1967. Longitude and latitude corresponded to the Polei Kleng firebase Republic of South Vietnam. The ‘clock’ operates on a six-hour real world cycle that begins when the red knob is activated.

  We pushed the Edison recording up from thirty seconds to a couple of minutes but, so far, the 'mind traveler' is still limited to six hours, real world time. We'll get a breakthrough someday that will extent it's time too."

  Basically the ‘Mind Traveler’ works by emitting an ionized electromagnetic force field that manipulates brain waves by transporting a person’s consciousness to the time and place set on the face of the machine. Two micro-miniature devices called 'Interferometers' emits this force field to anyone within three feet of the device. The team that works on it refers to something called 'Negative Energy' and miniature 'Wormholes'.


  “Wormholes, Forrest. The astro-physics guys think the big white disc transmitted their information to Betleguese using these ‘Wormholes’. Someway these ‘holes’ bend the fabric of space and time. In effect, they shorten the tremendous distance concerned with travel across the universe.”

  It's all Greek to me; however, there are a couple of peculiar facets of the “Mind Traveler’ that we have observed but have never been able to figure out.”

  “Yeah, what’s that Pa?”

  “Forrest did you happen to look at your watch while in the gunroom?”

  “Yeah I did, when I tried to get your ‘clock’ to work.”

  “What was the time on your watch?”

  Forrest thought for a second, “Oh yeah, now I remember – 1:12.”

  “How long have we been upstairs? It’s 7:26 now.”

  “I suppose about 10 minutes.”

  Pa spoke rather slowly and with deliberation, “Look at your watch – what time is it?”

  Looking down at his watch Forrest stammered, “Its… its…. 1:23!”

  “That’s our anomaly – your watch stopped for those six hours! I’m not offering an answer just stating a fact – were you actually in your ‘dream’ or was it just your mind?”

  The second thing we have observed is something the 'Clock Team' calls 'retrocausality'...

  "Retro... what!

  "Retrocausality - the future cannot affect the present and the present cannot affect the past. In other words time or 'mind traveling' cannot change the future while "in" the past - or alter the present if 'traveling' in the future. That's explains why when you were "there" you could not speak, be spoken to nor be seen - you were merely an observer, remember?"

  Now I know you are dying to ask me some questions – and I will answer them as honestly as I can – you deserve to know all the truth, fire away.

  The only caveat attached to my explanations is this: everything I tell you is ‘classified’, you cannot breathe a word to anyone. The CIA runs every aspect of our operations as a ‘black ops’. The ‘real’ government does not know and has never known of our existence. The CIA has always been afraid our facilities would be assigned to DARPA (Defense Advanced Projects Agency) but so far the ‘Company’ has maintained exclusive rights to our research.”

  * * * * *

  “Okay Pa, I understand. Now the last thing I remember watching you all had left New Orleans and moved to Slidell, Louisiana…”

  “Slidell, yeah you remember the place.”

  “Yeah, and you had to make a list of stuff to build the ‘Edisons’ again, right? (Pa nodded). What happened next?”

  “Well the information we supplied went back to Spooks two brothers, Bud and Lou, in the CIA. Both of them were promoted and transferred to CIA HQ in Washington, D.C. They set us up as a legitimate company under one of their ‘black ops’ programs and let us built a completely new laboratory, we constructed new ‘Edisons’, in fact, we are on ‘Edison Version IV’ currently. Our facilities are known as S.C.A.R., which stands for “Searches Concerning Antiquated Records”.

  "What happened to Dr. Kim and Miss Lu?"

  "Spook and Tinkers blossoming romance that began in the far off land of Cambodia flourished and they got married once we got everything settled and up and running again. They are still alive and well and both semi-retired. I cannot begin to tell you how much they contributed over the years to the research. Both are brilliant scientists that have been blessed with three fine children – two handsome sons and one beautiful daughter. The sons are twins, both married and following in the footsteps of their father and mother. Both work for us as Analysts. The girl, married too, her husband work for us at another of our facilities.”

  “Uh, question Pa – how many ‘facilities’ did the CIA build for you?”

  “Three – one is under my gun business. The store is just a front, the lab is three floors deep, buried underground, reached by an elevator hidden in one of the store’s closets.

  Another larger facility is disguised as part of NASA on Redstone Arsenal in Huntsville (Alabama) and the third is located deep within Cheyenne Mountain (Colorado) with NORAD (North American Aerospace Defense Command).

  This last facility is located deep inside the granite rock of Cheyenne Mountain since NORAD is impregnable to a nuclear attack. We fully realize this research cannot be jeopardized in any way, the data is too important, not just to the present generation but for future generations.

  I better explain about my store. I told you it was just a front – that’s not quite true – I supply weapons, ammo, explosives or whatever that might be needed for CIA supported operations in the southern hemisphere.

  I provide equipment for the CIA to assist the National Guard Special Forces units too. The CIA uses these Special Force units to infiltrate and destroy, mostly, the drug production business in South America. This is in conjunction with my ‘interpreting’ duties.”

  “Awesome, now this is all beginning to make sense. I see now why you have so many guns and military stuff.”

  Pa what about rebuilding the ‘Edisons’ you say you are up to Version Four – what did y
ou learn – did you get to work on the Kennedy Assassination? What about the Army? What about the ‘the silver men’? Did you run upon them again? Did you ever find out why they sent all the data to the star in Orion? I forgot the name?

  “Betelgeuse is the star’s name. As far as the ‘why’? No one has ever come up with a good answer for that one; we theorize but in the years since, our facilities at NASA work continuously on trying to find the answer. They are involved with Einstein’s Theory of Relativity, wormholes, time travel and things such as these. Researches someday will open up travel to those other solar systems. Someday we will sit down and I will explain this research – I believe you will be just as fascinated with their discoveries as you are with this one, they might impress you more so.”

  Forrest continued, “Did you decode all of those documents? Who are the two men in the Ford sedan I always see arrive at the gun store. THE PLAN was to find out what was carried in the black satchel? Is this why Baba never had any photographs? And two important questions: Do you think ‘the silver men’ will ever come back? And did you ever run upon the Russian Colonel again?

  “Whoa, slow down – we rebuilt the Edisons and yes we were able to listen to the photographs once again, at first, we managed to get about 30 seconds of voice and movement. We coined the word ‘interpret’ instead of read; we thought ‘interpret’ sounded more ‘official’. Then we improved them to interpret farther and farther – right now Version IV can discern speech and movement up to 2 minutes. We can now ‘interpret’ photos from newspapers, magazines and best of all – well maybe not best, but exciting at least, we can ‘interpret’ written documents, hand written ones!

  I wish you had been present, I'm guessing about 10 years ago now – we ran the Declaration of Independence through Version III! Hearing Benjamin Franklin, John Adams and the other Founding Fathers speak as they were signing their names. Forrest you couldn’t believe your ears. Unbelievable is all I can say. I truly wish you had witnessed it with us. It was truly a historic event. If I had not known better I would have thought I was watching Sean Connery playing Benjamin Franklin in a movie. It was wonderful. Not to worry though, I have it all on DVDs you can watch it later.